
Showing posts from March, 2019

How to temporarily deactivate the kernel mode filter driver in Windows

814112  Files on network shares open slowly or read-only or you receive an error message Event ID 2022 errors messages that occur in the System log, for example: When you are troubleshooting any one of these issues, frequently, you have to do more than just stop or disable the services that are associated with the software. Even if you disable the software component, the filter driver is still loaded when you restart the computer. You may be forced to remove a software component to find the cause of an issue. As an alternative to removing the software component, you can stop the relevant services and disable the corresponding filter drivers in the registry. For example, if you prevent antivirus software from scanning or filtering files on your computer, you must also disable the corresponding filter drivers. To disable filter drivers, you must first identify third-party services and their corresponding filter drivers. After you do this, follow these steps. Warn...

What comes next are records of crystals, not part of the text =
=====
# 1
This entry pairs a crystal structure of Li2SmEr2Mg5 with its calculated XRD peak list. Radiation: Cu Kα (weighted mean of Kα1 and Kα2). Structure: a PBE-relaxed structure.
Lines closer than 0.1° are merged.

Crystal structure
```
data_Li2SmEr2Mg5
_cell_length_a 10.555
_cell_length_b 10.555
_cell_length_c 4.432
_cell_angle_alpha 90.00
_cell_angle_beta 90.00
_cell_angle_gamma 90.00
_symmetry_space_group_name_H-M 'P 4/m b m'
_symmetry_Int_Tables_number 127
_symmetry_space_group_name_Hall '-P 4 2ab'
loop_
_atom_site_label
_atom_site_type_symbol
_atom_site_fract_x
_atom_site_fract_y
_atom_site_fract_z
_atom_site_occupancy
Li1 Li 0.114 0.386 0.000 1
Sm1 Sm 0.000 0.000 0.000 1
Er1 Er 0.180 0.680 0.000 1
Mg1 Mg 0.000 0.500 0.500 1
Mg2 Mg 0.064 0.216 0.500 1
```

Most intense lines, 2θ from 10° to 80°, low angle first:
d [Å]	2θ (°)	I (rel.)
4.720	18.8	683
4.432	20.0	500
3.732	23.8	305
3.338	26.7	449
3.231	27.6	912
2.855	31.3	542
2.666	33.6	1000
2.560	35.1	500
2.216	40.7	514
1.676	54.8	622



# 2
This entry pairs a crystal structure of PaTe2I6 with its calculated XRD peak list. Radiation: Cu Kα (weighted mean of Kα1 and Kα2). Structure: a PBE-relaxed structure.
Lines closer than 0.1° are merged.

Crystal structure
```
data_PaTe2I6
_cell_length_a 9.2831
_cell_length_b 9.2831
_cell_length_c 21.0947
_cell_angle_alpha 90.00
_cell_angle_beta 90.00
_cell_angle_gamma 120.00
_symmetry_space_group_name_H-M 'R 3'
_symmetry_Int_Tables_number 146
_symmetry_space_group_name_Hall 'R 3'
loop_
_atom_site_label
_atom_site_type_symbol
_atom_site_fract_x
_atom_site_fract_y
_atom_site_fract_z
_atom_site_occupancy
Pa1 Pa 0.0000 0.0000 0.0000 1
Te1 Te 0.0000 0.0000 0.2144 1
Te2 Te 0.0000 0.0000 0.3369 1
I1 I 0.0391 0.5140 0.7556 1
I2 I 0.1769 0.8132 0.5918 1
```

Most intense lines, 2θ from 10° to 80°, low angle first:
d [Å]	2θ (°)	I (rel.)
7.512	11.8	1000
6.394	13.9	468
3.874	23.0	238
3.756	23.7	651
3.197	27.9	849
2.803	31.9	436
2.466	36.4	237
2.321	38.8	491
2.205	40.9	298
2.131	42.4	237

* * * * *

For Ac3CdIr8, a cell relaxed with GGA-PBE gives the theoretical XRD peak list in this record (copper Kα).
Kinematic intensities with the Lorentz-polarization factor, no thermal factor.

Top 12 peaks for 2θ from 5° to 70°, by intensity:
| 2θ/deg | d/Å | intensity | hkl |
| --- | --- | --- | --- |
| 38.28 | 2.351 | 1000 | 2 0 2 |
| 40.05 | 2.251 | 397 | 0 2 4 |
| 61.82 | 1.501 | 330 | 3 0 6 |
| 68.01 | 1.379 | 286 | 2 2 0 |
| 32.47 | 2.757 | 272 | 1 1 0 |
| 57.93 | 1.592 | 105 | 3 0 0 |
| 19.72 | 4.502 | 50 | 0 0 6 |
| 46.59 | 1.950 | 47 | 2 0 8 |
| 51.05 | 1.789 | 13 | 0 1 14 |
| 24.88 | 3.578 | 12 | 0 1 5 |
| 29.76 | 3.002 | 11 | 1 0 7 |
| 18.87 | 4.702 | 8 | 1 0 1 |

Atomic structure:
```
data_Ac3CdIr8
_cell_length_a 5.5134
_cell_length_b 5.5134
_cell_length_c 27.0217
_cell_angle_alpha 90.00
_cell_angle_beta 90.00
_cell_angle_gamma 120.00
_symmetry_space_group_name_H-M 'R 3 m'
_symmetry_Int_Tables_number 160
_symmetry_space_group_name_Hall 'R 3 -2"'
loop_
_atom_site_label
=====

Cluster Change RegisterAllProvidersIP setting on an existing Availability Group

ERROR: The RegisterAllProvidersIP property for network name ‘Name:  ‘ is set to 1.  For  the current cluster configuration this value should be set to 0. Solution: nslookup AAGListenerName #With RegisterAllProvidersIP = 0, this will only return one IP, the IP of the current primary. Get-ClusterResource  -Cluster "FC_Name" #Get Cluster Network name Get-ClusterResource "ClusterNetworkName"  -Cluster "FC_Name" | set-clusterparameter RegisterAllProvidersIP 1  -Cluster "FC_Name" #You'll get a warning, all changes will take effect until ClusterNetworkName is taken offline and then online again. Stop-clusterresource "ClusterNetworkName"  -Cluster "FC_Name" #Take Offline Start-clusterresource "ClusterNetworkName"  -Cluster "FC_Name" #Right Back Online Start-clusterresource "AAGName"  -Cluster "FC_Name" #This step is important. The AAG is offline, must bring the AAG Back onl...

Azure Fix for "the VM is generalized" start-up error in Microsoft Azure

How to fix the below error, it works for when followed the below steps. 1) Go to the "Disks" page in the Azure Portal: 2) Click on the disk that is attached to the generalized VM. 3) Then click "Create Snapshot", and fill in the form: 4) After the snapshot is generated, go to the Disks page, and click "Add". 5) Fill in the "Create managed disk" form, and make sure to select your newly created Snapshot as Source: 6) After the new disk is created, click on it to see details. Then click the button "Create VM": 7) Create the VM as you would normally do. Done!

Troubleshooting RDP Terminal server not connecting via gateway server

Issue: Unable to reach the server via the gateway server. MMC also get close while trying to create a new policy. Exactly It will exit while adding the group. Cause: Installed KB3102467.

Troubleshooting AD Active Directory Replication Error 8456 or 8457: "The source | destination server is currently rejecting replication requests"

Symptoms  This article describes the symptoms, cause, and resolution steps for situations where Active Directory operations fail with error 8456 or 8457: "The source | destination server is currently rejecting replication requests" The DCPROMO promotion of a new domain controller in an existing forest fails with the error "The source server is currently rejecting replication requests."  Dialog title text:    Active Directory Installation Wizard   Dialog message text:   The operation failed because:   Active Directory could not transfer the remaining data in directory partition   to domain controller .  "The source server is currently rejecting replication requests." DCDIAG reports the error "The source server is currently rejecting replication requests" or "The destination server is currently rejecting replication requests." Testing server: Default-First-Site-Name\     ...